In case you hadn’t noticed, today is a Friday the 13th. Before you start knocking on wood, avoiding black cats and ladders, and crossing your fingers, take a second to think about what other superstitious beliefs you as a business owner/marketer may have about blogging that could be detrimental to growth.
Great business blogging is about giving your customers information to help them make a purchasing decision, solve problems, and provide other relevant content to their attention with the ultimate goal of highlighting your business as a solution to their pain points.
With that in mind, here is a list of 13 superstitious beliefs about marketing, blogging specifically, that need to be debunked. Promptly.
1. If your blog isn’t making money, then it’s useless.
If you are learning the ropes of blogging, there are many posts out there that turn a blog, a relatively simple marketing tool, into a magical, mysterious bastion of cloudy confusion. “Look how I quit my $50,000/year day job and now earn $50,000 a month just with my blog!” they advertise, then follow this statement with a vague piece about their “simple” formula for earning money.
Is their advertising preying on superstitions? You betcha. If you can’t assign direct monetary gains to a marketing channel, many people find it hard to assign value, or worse—deem it useless.
A blog is a tool for giving people information. That’s it. For most businesses, that means a blog is a tool for informing customers and potential customers about your business. Anyone can do it. Really.
Only after you’ve been blogging for a while can you finally assign monetary gains to the blog. (We’ve only just begun to do that ourselves! After five years of blogging.) Until then, counting wins in exposure, having easy social media fodder, establishing your brand voice, providing educational value, and building up your blog subscriber base will be all the value you need to gauge your blog’s usefulness.
2. “If you write it, they will come.”
Although we must credit this infographic for the quote, I would be remiss if I didn’t remind you of the great Kevin Costner movie where this quote originates: Field of Dreams. This great movie is based upon the superstitions surrounding sports, and superstitious beliefs are just as true when building a baseball field to bring your favorite sports players back from the dead as they are when building a business.
Contrary to the many maxims out there, publishing a blog post is just the beginning. No great novelist got his or her book published and then the cash started rolling in. You have to market and promote your content. Get it out there.
Luckily, that’s as easy as ever these days by social media, email newsletters, content sites like and LinkedIn groups, heck, even podcasts or paid ads. (Here are 143+ promotion ideas to get you started.) Don’t be shy.
3. “I have to have the perfect blog post.”
Having a good blog post is a great goal.
A perfect blog post, on the other hand, is a creation of superstition and myth: It does not exist.
Your blog is a place to communicate and educate customers, vendors, other businesses, employees, and generally people getting a feel for your company.
Writing a good blog post is like asking someone out on a date. You might completely botch it up, but that imperfection and level of humanity might be just what the other person is looking for.
Customers look for the real deal, and perfection doesn’t often fall into that category.
[Records of crystals from another source follow]
~~~
Version 1
{
  "formula": "Be3TlV",
  "functional": "PBE",
  "state": "relaxed",
  "lattice": [[4.4682, 0.0000, 0.0000], [0.0000, 4.4682, 0.0000], [0.0000, 0.0000, 4.4682]],
  "species": ["Be", "Be", "Be", "Tl", "V"],
  "fractional_positions": [[0.0000, 0.5000, 0.0000], [0.0000, 0.0000, 0.5000], [0.5000, 0.0000, 0.0000], [0.0000, 0.0000, 0.0000], [0.5000, 0.5000, 0.5000]],
  "m_tot_mub_per_fu": 3.29,
  "vol_a3_per_cell": 89
}

Version 2
{
  "formula": "Be3TlV",
  "functional": "PBE",
  "state": "relaxed",
  "lattice": [[4.3854, 0.0000, 0.0000], [0.0000, 4.3854, 0.0000], [0.0000, 0.0000, 4.3854]],
  "species": ["Be", "Be", "Be", "Tl", "V"],
  "fractional_positions": [[0.0000, 0.5000, 0.0000], [0.0000, 0.0000, 0.5000], [0.5000, 0.0000, 0.0000], [0.5000, 0.5000, 0.5000], [0.0000, 0.0000, 0.0000]],
  "m_tot_mub_per_fu": 0.45,
  "vol_a3_per_cell": 84
}

Consider the structures shown above. The least stable of them is version 1.

~~~~~

[1]
Computed, not measured: a geometry-optimized RbCuAuF6 structure at the GGA-PBE level of DFT.

a b c (Å): 5.648 5.780 5.812
angles (deg): 112.14 92.14 92.32
Fractional coordinates of all 9 atoms:
1 Rb 0.000 0.000 0.000
2 Cu 0.502 0.325 0.676
3 Au 0.500 0.652 0.348
4 F 0.293 0.068 0.666
5 F 0.308 0.649 0.058
6 F 0.316 0.363 0.383
7 F 0.686 0.618 0.635
8 F 0.691 0.945 0.350
9 F 0.713 0.339 0.931

Summary:
The uncorrected formation energy is -1606 meV/atom. For the volume, the calculation gives 175 Å³/f.u.

[2]
Computed, not measured: a geometry-optimized Rb2CuAuF6 structure at the GGA-PBE level of DFT.

a b c (Å): 6.213 6.213 6.213
angles (deg): 120.46 120.46 89.20
Fractional coordinates of all 10 atoms:
1 Rb 0.250 0.750 0.500
2 Rb 0.750 0.250 0.500
3 Cu 0.000 0.000 0.000
4 Au 0.500 0.500 0.000
5 F 0.218 0.218 0.436
6 F 0.218 0.782 0.000
7 F 0.266 0.266 0.000
8 F 0.734 0.734 0.000
9 F 0.782 0.218 0.000
10 F 0.782 0.782 0.564

Summary:
The uncorrected formation energy is -1891 meV/atom. For the volume, the calculation gives 168 Å³/f.u.

[3]
Computed, not measured: a geometry-optimized RbCuAu2F8 structure at the GGA-PBE level of DFT.

a b c (Å): 7.967 7.967 7.967
angles (deg): 40.04 40.04 40.04
Fractional coordinates of all 12 atoms:
1 Rb 0.000 0.000 0.000
2 Cu 0.500 0.500 0.500
3 Au 0.211 0.211 0.211
4 Au 0.789 0.789 0.789
5 F 0.212 0.717 0.717
6 F 0.283 0.283 0.788
7 F 0.283 0.788 0.283
8 F 0.302 0.302 0.302
9 F 0.698 0.698 0.698
10 F 0.717 0.212 0.717
11 F 0.717 0.717 0.212
12 F 0.788 0.283 0.283

Summary:
The uncorrected formation energy is -1204 meV/atom. For the volume, the calculation gives 189 Å³/f.u.

[4]
Computed, not measured: a geometry-optimized CuAuS2F structure at the GGA-PBE level of DFT.

a b c (Å): 4.688 4.688 5.075
angles (deg): 90.00 90.00 90.00
Fractional coordinates of all 5 atoms:
1 Cu 0.000 0.000 0.000
2 Au 0.000 0.000 0.500
3 S 0.000 0.500 0.500
4 S 0.500 0.000 0.500
5 F 0.500 0.500 0.000

Summary:
The uncorrected formation energy is 672 meV/atom. For the volume, the calculation gives 112 Å³/f.u.
~~~
[Back to the entry]
4. “I need to post every day.”
We commend your effort, but why sacrifice the quality of your blog in an effort to produce more material than your target audience can likely read anyway?
Your blog is targeting potential customers and others in your industry, which means it needs to be relevant, engaging, and meaningful.
As HubSpot shows through analysis of their 13,000+ customers, posting more does help your business (depending on industry & size), but consistent posting building a blog over time produces the best, most sustainable results.
5. Editing is difficult.
It is. But there are more tools to help get editing done more quickly and efficiently than ever before.
Here’s one: Grammarly. It’s free, works well, and was used to edit this post.
You’re welcome.
6. Facebook and Twitter are all a blog needs.
Social media sites like Facebook and Twitter are valuable tools when used well consistently, but can destroy great marketing campaigns when used poorly or with little direction/targeting. For example, if you sell manufacturing ERPs B2B and think that you are going to get relevant information to business owners via only your Facebook page, you are most likely targeting their employees. While they are on the clock.
There are times when an email list is the best method to market your blog, or contributing to a more targeted industry group forum, as well as times when calling up a prospect and saying: “John, I know your business has had problems with inventory management. Listen, I’ll shoot a blog post your way I recently wrote addressing these issues. I think you’ll find it helpful.”
See? Blogging is about communication. So is the marketing of said blog.
7. Never schedule email sends on a Friday.
Check out this other great post for more information on marketing superstitious beliefs, debunked. They point out that we all work in a 24/7, plugged-in, electronic world, so planning marketing tactics based on what works often goes a superstitious direction, based on hunches and past successes/failures.
-- Records of crystals, as found in the file --
-- begin --
14
Lattice="-5.252 -5.062 2.015 4.266 1.889 5.958 -3.275 6.319 -2.569" Properties=species:S:1:pos:R:3 comment="Nd5CuSe8 (SCAN, single point on PBEsol structure)" space_group="I-4 (82)" crystal_system=tetragonal vol_a3_per_atom=23.808 formation_energy_uncorrected_mev_per_atom=-1858 total_magnetization_mub_per_atom=0.000 pbc="T T T"
Nd -2.615 -1.953 2.391
Nd -0.246 0.466 4.834
Se -3.052 4.935 -0.236
Se -2.628 0.506 0.496
Se -1.290 -2.453 5.365
Nd -1.907 2.938 2.120
Se -2.964 0.596 3.806
Cu 0.000 0.000 0.000
Se -1.553 3.305 5.182
Se 0.811 1.907 2.538
Nd 1.459 4.227 4.218
Nd -5.460 1.081 2.078
Se -0.929 5.605 2.859
Se -5.442 -1.816 1.604



4
Lattice="3.577 0.000 0.000 -1.788 3.103 -0.002 0.000 -0.900 7.463" Properties=species:S:1:pos:R:3 comment="GeH2Se (SCAN, single point on PBEsol structure)" energy_ev_per_cell=-46.30 space_group="Cm (8)" crystal_system=monoclinic vol_a3_per_atom=20.710 total_magnetization_mub_per_atom=0.000 pbc="T T T"
Ge 0.000 1.170 4.741
Se 1.788 2.203 3.289
H 1.788 -0.525 7.457
H 1.788 0.801 0.629



4
Lattice="3.374 0.000 0.000 1.687 2.922 0.000 1.687 0.974 7.605" Properties=species:S:1:pos:R:3 comment="BePdBr2 (SCAN, single point on PBEsol structure)" space_group="R-3m (166)" crystal_system=trigonal vol_a3_per_atom=18.740 formation_energy_uncorrected_mev_per_atom=-152 total_magnetization_mub_per_atom=0.000 pbc="T T T"
Br 1.687 0.974 5.176
Br 5.060 2.922 2.430
Pd 0.000 0.000 0.000
Be 3.374 1.948 3.803



6
Lattice="-3.315 1.261 1.992 -0.014 -3.597 -1.899 2.625 -3.478 6.570" Properties=species:S:1:pos:R:3 comment="LaHSe (SCAN, single point on PBEsol structure)" energy_ev_per_cell=-143.73 space_group="P6_3/mmc (194)" crystal_system=hexagonal vol_a3_per_atom=18.830 total_magnetization_mub_per_atom=0.000 pbc="T T T"
Se 0.000 0.000 0.000
H -0.458 -2.847 1.040
La -1.558 -1.228 2.338
H -0.245 -2.967 5.622
La 0.855 -4.587 4.325
Se 1.313 -1.739 3.285



4
Lattice="-2.600 -1.451 0.675 -0.554 -0.899 -4.067 2.391 -4.022 0.563" Properties=species:S:1:pos:R:3 comment="TcAg2Ru (SCAN, single point on PBEsol structure)" e_form_mev_per_atom=664.3 space_group="Pmmm (47)" crystal_system=orthorhombic vol_a3_per_atom=15.116 total_magnetization_mub_per_atom=0.000 e_above_lowest_polymorph_ev_per_atom=0.488 pbc="T T T"
Tc 0.919 -2.460 -1.752
Ru -0.105 -2.737 0.619
Ag 0.000 0.000 0.000
Ag -1.577 -1.175 -1.696



4
Lattice="4.263 0.000 0.000 2.132 3.692 0.000 2.132 1.231 3.481" Properties=species:S:1:pos:R:3 comment="Be2CdMo (SCAN, single point on PBEsol structure)" e_form_mev_per_atom=662.1 space_group="F-43m (216)" crystal_system=cubic vol_a3_per_atom=13.696 total_magnetization_mub_per_atom=0.479 pbc="T T T"
Cd 4.263 2.461 1.740
Mo 2.132 1.231 0.870
Be 0.000 0.000 0.000
Be 6.395 3.692 2.611

=====

The following is a DFT calculation (PBE) of Sn3PbI after structural relaxation.

Output
ΔE_f (raw), meV per atom: 599
Excess energy over the best structure of this formula in the dataset, kJ/mol of formula units: 0

Cell and atoms, written as CIF:
```
-- stop --
The reality is that people’s habits change. What’s true for email open rates or click-throughs change. Probably weekly. Don’t be afraid to experiment, and experiment often, to decide what’s true for your business and readership. You might find highest engagement on Fridays! Don’t miss out on that.
Frankly, some posting is best done on a Friday (like Friday the 13th articles, obviously), like more shareable posts or high-interest pieces going into the weekend (just look at the #FridayLongReads trend that continues to rise in popularity on Twitter), while others may be best done on certain holidays.
8. Formatting doesn’t matter.
Blog readers are people too. If you walk into, say, a new store, and all you see is clutter, flashing ads/banners to get your attention, or a confusing arrangement of items or flow, you are not likely to spend much time there unless you are a professional cleaner.
Same idea goes with a blog. Too much clutter, not enough relevant and pleasing visuals, and a confusing user experience forces potential readers to click away and bounce without a second thought. You’ve lost the opportunity to make a good first impression.
_Misplaced calculated crystals_
-- begin --
DFT (PBE+U) results for a relaxed structure of MnGeBiO6.

The structure in CIF format:
```
data_MnGeBiO6
_space_group_name_H-M_alt 'P 42 n m'
_space_group_IT_number 102
_cell_length_a 4.659
_cell_length_b 4.659
_cell_length_c 9.598
_cell_angle_alpha 90.00
_cell_angle_beta 90.00
_cell_angle_gamma 90.00
loop_
_space_group_symop_operation_xyz
'x,y,z'
'-y+1/2,x+1/2,z+1/2'
'-x,-y,z'
'y+1/2,-x+1/2,z+1/2'
'-x+1/2,y+1/2,z+1/2'
'y,x,z'
'x+1/2,-y+1/2,z+1/2'
'-y,-x,z'
loop_
_atom_site_label
_atom_site_type_symbol
_atom_site_fract_x
_atom_site_fract_y
_atom_site_fract_z
_atom_site_occupancy
Mn1 Mn 0.000 0.000 0.000 1
Ge1 Ge 0.000 0.000 0.336 1
Bi1 Bi 0.000 0.000 0.671 1
O1 O 0.180 0.180 0.177 1
O2 O 0.199 0.199 0.490 1
O3 O 0.211 0.211 0.842 1
```

Computed properties:
As for the raw total energy: -6.303 eV/atom.


# 1
## Fe5Au (PBE-GGA)

Data for an optimized crystal structure of Fe5Au.

Cell: 9.1185 3.1176 5.7793 Å, 90.00 108.46 90.00°
Space group C2/m (No. 12)
One atom of each set of equivalent atoms:
Fe: 0.0000 0.0000 0.0000 (multiplicity 2)
Fe: 0.1715 0.5000 0.8501 (multiplicity 4)
Fe: 0.1745 0.5000 0.3209 (multiplicity 4)
Au: 0.0000 0.0000 0.5000 (multiplicity 2)


# 2
## NiAg3 (PBE-GGA)

Data for an optimized crystal structure of NiAg3.

Cell: 2.8925 3.7702 5.9364 Å, 90.00 90.00 90.00°
Space group Pmmm (No. 47)
One atom of each set of equivalent atoms:
Ni: 0.0000 0.0000 0.0000 (multiplicity 1)
Ag: 0.0000 0.0000 0.5000 (multiplicity 1)
Ag: 0.5000 0.5000 0.2324 (multiplicity 2)


# 3
## SiAsOs2 (PBE-GGA)

Data for an optimized crystal structure of SiAsOs2.

Properties
E_form (uncorrected) = 0.4 eV/f.u.

Cell: 2.9048 3.7691 5.2474 Å, 90.00 90.00 90.00°
Space group Pmm2 (No. 25)
One atom of each set of equivalent atoms:
Si: 0.0000 0.0000 0.0000 (multiplicity 1)
As: 0.5000 0.5000 0.3241 (multiplicity 1)
Os: 0.0000 0.0000 0.4897 (multiplicity 1)
Os: 0.5000 0.5000 0.8477 (multiplicity 1)


# 4
## BaNa2TlAs2 (PBE-GGA)

Data for an optimized crystal structure of BaNa2TlAs2.

Cell: 4.7408 8.8822 8.4032 Å, 90.00 90.00 90.00°
Space group Pmc2_1 (No. 26)
One atom of each set of equivalent atoms:
Ba: 0.0000 0.0725 0.0000 (multiplicity 2)
Na: 0.0000 0.3294 0.3882 (multiplicity 2)
Na: 0.5000 0.4258 0.0792 (multiplicity 2)
Tl: 0.5000 0.1991 0.6567 (multiplicity 2)
As: 0.0000 0.3630 0.7560 (multiplicity 2)
As: 0.5000 0.1182 0.2887 (multiplicity 2)


no.,DOS at the Fermi energy (states/eV/f.u.),calculated total energy (eV per formula unit)
1,4.70,-44.97
2,2.55,-13.57
3,2.18,-32.17
4,2.15,-19.46


Density functional theory data (PBE with a Hubbard U) for a geometry-optimized K2CdNiF6 structure.

Output
VASP energy: -0.1526 Ha/atom
Space group: Pmmn (59)

```
K2CdNiF6
1.0
-3.163 -0.452 -5.100
-3.411 -4.293 2.496
-5.406 5.939 2.827
K Cd Ni F
4 2 2 12
-- stop --
9. Longer blog posts perform better.
Not necessarily.
Although there is significant statistical information showing correlation between long-form articles and user engagement, Rand Fishkin at Moz argues that this is confusing too many variables.
Rather than focusing on artificial metrics like length, he points out that great blogs deliver intangible value to the readers. After all, the goal of a blog is to help customers and potential customers. When you communicate and flesh out a piece of content that truly helps a customer, regardless of length, he/she will, in turn, seek out your paying solutions, making your blog is successful.
10. “I only do ‘how-to’ articles.”
No matter your target market, humans love variety. The point of your blog is to speak directly to an audience, and they want to know more about your business and opinions on recent news than just how-to articles, product reviews or any other limiting single point of view.
Shake things up with different lengths, different subject matter, and even add some personal flavor when necessary.
11. Don’t link to competition.
We get it, giving your competition free publicity seems like a bad idea, but let’s go back to the point of blogging: Communication.
Your customers, current or potential, may already know who your competition is. What may not know is how you differentiate from them. Unless you state it. They’ll likely appreciate your transparency and knowledge of the competitive landscape in your industry.
This vs. that articles, product reviews, or showing how your business operates differently, using your competition’s blog as a gauge or a source of other experimentation ideas can provide tremendous value to your blog. (Just be smart about it.)
12. Lists have to be a certain number.
Numerology (the study of numbers) is relegated to the realm of superstition because most people place meaning in units of measurement, as opposed to the implications of those measurements.
There are several studies that show the value of sticking to odd-numbered lists (rather than evens), but ultimately, the number of the list does not matter much.
Superstitious beliefs die hard, though…
We aren’t going to give you a 13th belief, because that would be unlucky.